Joelle Emerson Profile picture
co-founder & ceo at @prdgm, building technology, tools, and services to create more inclusive organizations. former civil rights lawyer. mama. she/her
Aug 25, 2021 8 tweets 2 min read
I've talked through the unconstitutionality of the California recall with a few informed, well-read friends recently who completely didn't understand how the process works until I explained it. This process is confusing *by design.* TL;DR - vote no. (1/ Why is it unconstitutional? It has the potential to allow a small plurality of the state to determine our governor, against the interests of a much larger population. This defies the "one person, one vote" principle on which our democratic system is meant to operate. How? (2/
Nov 6, 2020 5 tweets 1 min read
In some truly fortuitous timing, I had therapy today. My therapist reminded me that there are two ways to manage anxiety: top down, and bottom up. Sharing here in case this helps anyone else in the way it helped me. 1/ Top down means starting with your head. Writing your thoughts on paper. Slowing down your "what ifs." Responding to your own worst case scenarios. Reminding yourself of the strategies and tools you have available. When you can calm your mind, that calm can move into your body. 2/
Nov 6, 2020 4 tweets 1 min read
Oh I really hate this statement on so many levels. But the last sentence is key: *whose* way of life are we trying to improve? The “cultural issues” we’re “policing” are the very things that will improve the lives of the most marginalized people in our society. When we advocate for Black Lives Matter, or trans rights, or accessibility - these aren’t just random cultural issues.
Sep 28, 2020 17 tweets 3 min read
A lot of people seem confused about "diversity of thought." First, no one I've ever met is opposed to "diversity of thought" as a concept. It's a red herring to position this as people who believe in "diversity of thought" vs. those who don't. 1/ Theoretically, diversity of thought sounds like an appealing concept. But, there's a reason most organizations that prioritize diversity, equity, and inclusion don't talk about it in these terms, and why it's so cringey to those of us who care about DEI. 2/
-- What comes next are calculated crystals, not part of the entry --
'''
Density functional theory data (PBE) for TcRuW2 after structural relaxation.

Structure (POSCAR):
```
TcRuW2
1.0
-2.826 1.158 -0.729
-0.531 -2.470 -1.865
-2.534 -3.125 4.861
Ru Tc W
1 1 2
Direct
0.000 0.000 0.477 Ru
0.500 0.500 0.773 Tc
0.000 0.000 0.992 W
0.500 0.500 0.257 W
```

Computed properties:
energy above the lowest structure with this stoichiometry = 38.7 meV/atom
electronic total energy = -11.23 eV per atom
energy relative to the elements = 0.160 eV/atom

----------

1.
# Er6TlSb3

Crystalline Er6TlSb3 at its relaxed geometry (GGA-PBE, Alexandria via LeMat-Bulk).

abc: 8.373 8.127 8.127
angles: 89.04 90.00 90.00
Atoms (fractional coordinates):
Er  0.649  0.659  0.659
Er  0.899  0.003  0.498
Sb  0.399  0.144  0.148
Tl  0.399  0.647  0.353
Sb  0.899  0.148  0.144
Er  0.399  0.498  0.003
Tl  0.899  0.353  0.647
Sb  0.899  0.856  0.852
Er  0.148  0.841  0.159
Er  0.149  0.659  0.659
Sb  0.399  0.852  0.856
Er  0.649  0.842  0.158
Er  0.649  0.341  0.341
Er  0.899  0.502  0.997
Er  0.399  0.997  0.502
Er  0.149  0.158  0.842
Sb  0.398  0.358  0.642
Er  0.149  0.341  0.341
Sb  0.898  0.642  0.358
Er  0.648  0.159  0.841

Calculated values
DOS(E_F): 16.62 states/eV per cell
Formation energy (no corrections): -738.2 meV/atom
VASP energy: -98.984 eV for the cell shown
Symmetry: Cmcm (63)

---

2.
# Rb3Ce2F8

Crystalline Rb3Ce2F8 at its relaxed geometry (GGA-PBE, Alexandria via LeMat-Bulk).

abc: 4.258 8.511 7.941
angles: 122.41 90.00 90.00
Each line ends with the local moment (μB).
Atoms (fractional coordinates):
Ce  0.500  0.257  0.515  1.22
F  0.500  0.093  0.702  0.00
Rb  0.000  0.297  0.000  0.02
F  0.500  0.391  0.298  0.00
F  0.500  0.907  0.298  0.00
Rb  0.500  0.000  0.000  0.01
F  0.000  0.341  0.682  0.00
F  0.500  0.609  0.702  0.00
Rb  0.000  0.703  0.000  0.02
F  0.000  0.137  0.275  0.00
Ce  0.500  0.743  0.485  1.22
F  0.000  0.659  0.318  0.00
F  0.000  0.863  0.725  0.00

Calculated values
DOS(E_F): 16.58 states/eV per cell
Formation energy (no corrections): -3177.8 meV/atom
VASP energy: -71.052 eV for the cell shown
Symmetry: Cmmm (65)

---

3.
# ThZrOsRu

Crystalline ThZrOsRu at its relaxed geometry (GGA-PBE, Alexandria via LeMat-Bulk).

abc: 4.840 4.840 4.840
angles: 60.00 60.00 60.00
Atoms (fractional coordinates):
Zr  0.750  0.750  0.750
Ru  0.500  0.500  0.500
Os  0.000  0.000  0.000
Th  0.250  0.250  0.250

Calculated values
DOS(E_F): 1.88 states/eV per cell
VASP energy: -37.755 eV for the cell shown
Symmetry: F-43m (216)
Energy relative to the elements: -30.9 kJ per mole of atoms

---

4.
# La3Ga3Ag

Crystalline La3Ga3Ag at its relaxed geometry (GGA-PBE, Alexandria via LeMat-Bulk).

abc: 4.674 6.024 14.357
angles: 87.51 80.63 67.17
Atoms (fractional coordinates):
La  0.741  0.747  0.771
La  0.611  0.708  0.070
La  0.389  0.292  0.930
Ga  0.972  0.832  0.224
La  0.259  0.253  0.229
La  0.456  0.708  0.381
Ga  0.897  0.127  0.079
Ga  0.103  0.873  0.921
Ag  0.250  0.894  0.606
Ga  0.125  0.291  0.458
'''
Sep 3, 2020 4 tweets 1 min read
Apologize. Take ownership. Even for small mistakes. Especially for big mistakes. It doesn’t make you look bad to say “I fucked up.” It *does* make you look bad to not realize you fucked up. There’s nothing more refreshing than someone saying “I totally messed that up, I’m sorry.” I can’t even be mad about the underlying thing anymore.
Jun 18, 2020 4 tweets 1 min read
A lot of organizations are reaching out to our team asking us if we can facilitate "uncomfortable conversations around race in a safe environment." An important question is, uncomfortable for *who*? Initially this ask seems right up our alley. DEI workshops, for example, should make people from majority groups uncomfortable. But often, the ask seems to be about how we can make all ideas feel equally valid, and give all perspectives air time.
May 1, 2020 6 tweets 2 min read
I'm hosting a webinar next week on inclusive hiring, which might seem like strange timing. As the economic crisis has gotten worse, I was expecting we'd stop hearing from organizations around their hiring needs. Interestingly, that hasn't been the case.… This is still one of the areas of interest we hear about most - dozens of organizations reach out each week with questions around inclusive hiring. Why?
Apr 30, 2020 4 tweets 1 min read
I'm super excited to announce the launch Paradigm's two newest eLearning modules - Inclusive Hiring and Inclusive Performance Management. Two of the themes our clients ask about most.… Our goal is always to make training tactical - we want learners to leave with specific skills they can use immediately to make more inclusive decisions. With these new modules, we're helping leaners focus in on key areas of decision-making that are particularly prone to bias.
Apr 22, 2020 5 tweets 1 min read
Having a miscarriage during this time has been such a confusing experience. It's been hard to process my feelings about it in the midst of everything going on. It's really sad, of course. It's also a frustrating conclusion to 12 weeks of ill-timed nausea and exhaustion. It's also lonely. Miscarriage, while super common (something like 20% of pregnancies end in miscarriage), is so stigmatized that people often navigate it in secret. I've had a lot of support, I've decided to not deal with this in secret (obviously), and it has still felt lonely.
Apr 9, 2020 4 tweets 1 min read
I see a growing number of companies surveying employees on how they're experiencing what's happening right now. That's great! But most are failing to ask demographic questions to understand the ways in which people's experiences are not the same. That's a huge miss. I highly recommend surveying on themes like engagement, isolation, belonging, work-life conflict, distraction, trust in leaders, etc. But people from different backgrounds are likely experiencing these things differently.
Mar 13, 2020 9 tweets 1 min read
We're seeing an uptick in requests for virtual training and eLearning. It's great that many orgs are committed to continuing their DEI learning. What I'd have expected more of: asks for leadership coaching and HR advising on how to keep inclusion top of mind at this moment. How are you thinking about supporting working parents or other caregivers who's caregiving responsibilities have shifted or m ay shift dramatically in the coming days?
Dec 13, 2019 5 tweets 5 min read
There's so much I'm proud of about our work at Paradigm, but nothing more than this - each year, we make significant donations to organizations doing meaningful social justice work across a range of issues.… Our theory of change acknowledges we're approaching equity from one *particular* angle. We recognize the importance of the many other angles through which to create a more just world, and we support organizations doing that work.
Oct 16, 2019 4 tweets 1 min read
For years our clients have been looking for modern, fresh, impactful DEI training that can *scale*. We took the best of our in-person workshops and leveraged principles of online learning. I'm super proud of what we created - Paradigm REACH launches today!… Importantly, DEI training is no replacement for structural and systemic change. But what we've found is that bringing people along in that change - equipping them with understanding and skills to play a role - is critical. In-person workshops are invaluable, but they don't scale.
May 23, 2019 10 tweets 2 min read
Incredibly excited to share that we're launching a new eLearning platform - Paradigm REACH. With REACH, organizations will be able to scale targeted, impactful DEI training to their entire workforces.… When I first started Paradigm, I was super skeptical about the potential for training to have any impact at all. Research on the efficacy of training around DEI, and I thought that *at best* training could only have a very small impact as compared to structural change.
Mar 5, 2019 9 tweets 2 min read
I'm hearing a lot of critiques that my thoughts on Google are hypocritical. To be clear, I think companies should *always* look at the causes of pay disparities, rather than asking only the way-too-basic question "do people with exactly the same job title get paid differently?" That requires understanding the inputs that determine pay - leveling, time in role, promotion rates, performance, etc. In an ideal world, for entry level roles, also what's going on in the hiring process. Depending on what you find, you may need to ask a second set of questions.
Mar 4, 2019 5 tweets 1 min read
In the biggest pay gap correction I've ever seen, Google has spent nearly $10 million to boost MEN'S pay to correct for an apparent gender pay gap that favored women. I many thoughts and concerns. First, it would be wonderful to see companies work so hard, and invest so much, to address pay disparities when the group suffering is underrepresented. When that is the case, we typically see all manner of excuses as to why such disparity is justified.
Jan 30, 2019 4 tweets 2 min read
3 DEI Predictions for 2019:… (1) Employee-led corporate activism will drive change, both within their organizations and externally. We're already seeing this, and I expect and hope to see more in 2019.
Oct 4, 2018 4 tweets 2 min read
Wow, go @Pinterest and @Candice_MMorgan - this is amazing.… Companies that don't currently offer the same amount of leave to parents of all genders: take a moment and ask yourself what message that sends to your workforce.
Sep 28, 2018 4 tweets 1 min read
So many survivors see our attackers in Kavanaugh. I’m hurt, and I’m so incredibly angry. Jeff Flake is just the latest in a long line of people who let us down. Yale law professors KNEW this guy was a creep. Why didn’t they speak up?
Aug 6, 2018 5 tweets 2 min read
The likability/competence tradeoff is so real. I use what @JoanCWilliams calls "gender judo" literally everyday. When I do a stereotypically masculine thing, I balance it out with a stereotypically feminine thing.… While this helps *me* as an individual, it's not a sustainable strategy. First, it's taxing. Women (and particularly women of color) in leadership roles often expend a ton of extra energy strategizing on how their words will be perceived.
May 16, 2018 17 tweets 3 min read
With the Starbucks training coming up, we’re getting a lot of questions about unconscious bias training. Is it effective? How does it work? We’ve researched this quite a bit, so I wanted to share some thoughts. As context, started by reviewing the existing literature (which is pretty limited) and then testing different models ourselves. We wrote about that here… and have continued our research since then.